-- Listing --
┌──
Version P
228
Properties=species:S:1:pos:R:3 method="wB97M-V/def2-TZVPD" gap_ev=8.958
C 7.782 8.297 28.824
O 7.331 8.728 30.122
C 7.401 7.675 31.062
C 6.920 8.356 32.438
N 6.397 7.404 33.363
C 7.429 6.483 33.837
C 6.907 5.933 35.189
O 6.444 7.024 36.018
C 7.535 7.751 36.587
H 7.623 9.137 28.101
H 7.350 7.376 28.456
H 8.828 8.113 28.877
H 8.405 7.296 30.942
H 6.670 6.862 30.838
H 6.129 9.069 32.218
H 7.769 8.920 32.786
H 6.011 7.877 34.155
H 8.291 7.106 34.059
H 7.613 5.734 33.078
H 7.638 5.362 35.704
H 5.976 5.393 35.009
H 8.195 8.084 35.785
H 8.130 7.236 37.343
H 7.035 8.633 37.006
C -0.894 19.000 31.838
O 0.296 18.465 31.370
C 0.228 17.054 31.084
C 1.607 16.696 30.466
N 1.698 15.276 30.224
C 2.052 14.484 31.364
C 2.589 13.194 30.864
O 3.658 13.554 29.991
C 4.041 12.518 29.138
H -1.339 18.644 32.808
H -1.616 18.890 31.112
H -0.717 20.071 32.005
H -0.481 16.655 30.358
H 0.069 16.435 31.963
H 2.363 17.136 31.175
H 1.738 17.246 29.534
H 2.449 15.098 29.500
H 1.135 14.201 31.871
H 2.710 15.054 32.016
H 1.847 12.560 30.352
H 3.002 12.667 31.706
H 4.725 11.815 29.663
H 4.561 12.852 28.278
H 3.133 11.969 28.725
C -0.106 7.836 24.841
O -0.167 7.832 26.259
C -0.088 9.141 26.892
C 1.270 9.546 27.310
N 1.720 8.725 28.416
C 3.121 8.922 28.680
C 3.687 7.741 29.456
O 3.453 6.496 28.758
C 4.297 6.325 27.620
H -0.305 6.831 24.504
H 0.863 8.103 24.484
H -0.813 8.498 24.417
H -0.803 9.047 27.736
H -0.460 9.862 26.184
H 1.183 10.587 27.644
H 2.055 9.582 26.502
H 1.505 7.782 28.225
H 3.266 9.815 29.299
H 3.707 9.051 27.764
H 3.121 7.586 30.420
H 4.793 7.822 29.649
H 4.026 5.418 27.025
H 5.334 6.125 27.998
H 4.187 7.211 26.963
C 6.622 0.345 32.662
O 5.330 0.379 32.012
C 5.428 0.435 30.606
C 4.061 0.429 29.937
N 4.088 0.552 28.530
C 2.851 1.082 28.053
C 2.824 1.065 26.565
O 3.086 -0.267 26.163
C 3.825 -0.371 24.926
H 6.503 0.721 33.709
H 7.259 1.071 32.141
H 7.107 -0.634 32.573
H 6.079 -0.350 30.146
H 5.941 1.361 30.296
H 3.531 1.276 30.440
H 3.515 -0.430 30.324
H 4.357 -0.326 28.097
H 2.812 2.060 28.508
H 1.982 0.624 28.497
H 3.586 1.729 26.171
H 1.862 1.434 26.185
H 3.202 -0.283 24.027
H 4.230 -1.390 24.964
H 4.672 0.264 25.007
C 4.359 6.472 20.859
O 3.974 7.789 20.580
C 3.004 8.257 21.405
C 2.384 9.491 20.782
N 1.525 10.127 21.860
C 0.452 10.968 21.205
C -0.433 11.555 22.274
O -1.303 10.493 22.780
C -2.388 10.820 23.669
H 5.088 6.072 20.097
H 3.489 5.772 21.015
H 4.790 6.430 21.869
H 3.410 8.609 22.353
H 2.261 7.440 21.583
H 1.672 9.279 19.973
H 3.168 10.216 20.390
H 0.932 9.378 22.275
H -0.049 10.372 20.487
H 0.852 11.821 20.611
H -1.124 12.319 21.886
H 0.149 11.971 23.066
H -2.007 10.846 24.727
H -3.168 10.068 23.580
H -2.841 11.824 23.444
C -0.840 3.779 24.175
O -0.302 3.555 25.482
C -1.009 4.020 26.607
C -0.314 3.723 27.893
N -0.851 4.514 29.034
C -0.492 5.909 29.076
C -1.375 6.617 30.083
O -2.778 6.517 29.746
C -3.132 7.630 29.032
H -1.906 3.988 24.318
H -0.747 2.844 23.583
H -0.189 4.629 23.745
H -2.019 3.595 26.633
H -1.189 5.111 26.470
H 0.750 3.929 27.795
H -0.339 2.610 28.115
H -1.860 4.405 29.006
H -0.505 6.381 28.076
H 0.554 6.030 29.523
H -1.032 7.590 30.249
H -1.394 6.015 31.006
H -2.425 7.708 28.168
H -3.251 8.645 29.537
H -4.113 7.405 28.587
C 8.417 8.413 21.413
C 7.460 7.715 22.401
C 7.996 7.121 23.672
O 6.409 8.651 22.716
H 7.938 8.671 20.460
H 9.223 7.764 21.227
H 8.774 9.376 21.836
H 7.021 6.887 21.881
H 8.803 6.404 23.414
H 7.182 6.493 24.067
H 8.370 7.828 24.455
H 6.798 9.424 23.177
C -2.793 11.776 27.508
C -2.073 12.044 28.879
C -2.925 12.931 29.750
O -1.718 10.827 29.450
H -3.815 11.491 27.793
H -2.274 11.002 26.926
H -2.762 12.682 26.864
H -1.150 12.592 28.653
H -2.442 13.127 30.679
H -3.910 12.412 29.931
H -3.159 13.860 29.266
H -0.829 10.783 29.859
C 2.040 4.769 33.170
C 3.493 5.035 33.236
C 4.231 4.140 32.266
O 3.678 6.400 32.805
H 1.936 3.708 33.249
H 1.643 5.120 32.168
H 1.530 5.234 33.952
H 3.930 4.819 34.208
H 5.287 4.008 32.500
H 4.157 4.671 31.314
H 3.832 3.126 32.236
H 4.629 6.604 32.914
C 2.164 10.206 32.780
└──

-- Request --
What is needed: transcribe the lines above from the one with "5.334 6.125" to the one with "23.672" without altering anything.

-- Written answer --
H 5.334 6.125 27.998
H 4.187 7.211 26.963
C 6.622 0.345 32.662
O 5.330 0.379 32.012
C 5.428 0.435 30.606
C 4.061 0.429 29.937
N 4.088 0.552 28.530
C 2.851 1.082 28.053
C 2.824 1.065 26.565
O 3.086 -0.267 26.163
C 3.825 -0.371 24.926
H 6.503 0.721 33.709
H 7.259 1.071 32.141
H 7.107 -0.634 32.573
H 6.079 -0.350 30.146
H 5.941 1.361 30.296
H 3.531 1.276 30.440
H 3.515 -0.430 30.324
H 4.357 -0.326 28.097
H 2.812 2.060 28.508
H 1.982 0.624 28.497
H 3.586 1.729 26.171
H 1.862 1.434 26.185
H 3.202 -0.283 24.027
H 4.230 -1.390 24.964
H 4.672 0.264 25.007
C 4.359 6.472 20.859
O 3.974 7.789 20.580
C 3.004 8.257 21.405
C 2.384 9.491 20.782
N 1.525 10.127 21.860
C 0.452 10.968 21.205
C -0.433 11.555 22.274
O -1.303 10.493 22.780
C -2.388 10.820 23.669
H 5.088 6.072 20.097
H 3.489 5.772 21.015
H 4.790 6.430 21.869
H 3.410 8.609 22.353
H 2.261 7.440 21.583
H 1.672 9.279 19.973
H 3.168 10.216 20.390
H 0.932 9.378 22.275
H -0.049 10.372 20.487
H 0.852 11.821 20.611
H -1.124 12.319 21.886
H 0.149 11.971 23.066
H -2.007 10.846 24.727
H -3.168 10.068 23.580
H -2.841 11.824 23.444
C -0.840 3.779 24.175
O -0.302 3.555 25.482
C -1.009 4.020 26.607
C -0.314 3.723 27.893
N -0.851 4.514 29.034
C -0.492 5.909 29.076
C -1.375 6.617 30.083
O -2.778 6.517 29.746
C -3.132 7.630 29.032
H -1.906 3.988 24.318
H -0.747 2.844 23.583
H -0.189 4.629 23.745
H -2.019 3.595 26.633
H -1.189 5.111 26.470
H 0.750 3.929 27.795
H -0.339 2.610 28.115
H -1.860 4.405 29.006
H -0.505 6.381 28.076
H 0.554 6.030 29.523
H -1.032 7.590 30.249
H -1.394 6.015 31.006
H -2.425 7.708 28.168
H -3.251 8.645 29.537
H -4.113 7.405 28.587
C 8.417 8.413 21.413
C 7.460 7.715 22.401
C 7.996 7.121 23.672